We are currently at a place whether we are starting, developing or advancing our career it is greatly affected by the increased use of social media.The extensive use of social media by recruitment agencies and employers have become the order of the day and as a result most people have their profiles available on platforms such as LinkedIn, Facebook and other platforms.
Individuals can now identify a job via one simple search of their chosen Agency site. In addition, there are numerous Apps coming into the marketplace, that facilitate job search more quickly than ever before, providing prospective candidates with information at speed. This facility to provide Job-on-the-Go is an ever increasing one.
-- begin --
(1)
# C20H25N5O2S

A single C20H25N5O2S molecule (the ωB97M-V functional and the def2-TZVPD basis, the Open Molecules 2025 dataset).

The energy above the lowest of the compared OMol25 structures with the same formula, charge and spin comes out at 88.8 kJ/mol. The calculation puts the LUMO energy at 0.546 eV. For the molecular weight, the calculation gives 399.52 g/mol. As for the HOMO energy: -7.76 eV. The maximum force is 0.0264 hartree/bohr.

```
53
Properties=species:S:1:pos:R:3:forces:R:3
C -0.47125 -4.10402 1.56189 0.0 0.0 0.0
C -1.34607 -3.02608 1.00911 0.0 0.2 0.1
N -1.51014 -1.95351 1.75244 0.5 -0.5 0.5
C -2.28051 -0.99235 1.27560 -0.6 0.3 -0.7
N -2.57763 0.18942 1.78206 0.2 0.2 0.5
C -3.34006 0.75527 0.83621 0.0 -0.7 -0.2
N -3.58155 0.00127 -0.22836 -0.9 0.5 -0.5
N -2.90370 -1.10905 0.02536 0.7 -0.1 1.2
C -2.74144 -2.18111 -0.76746 0.2 -0.5 -0.2
C -1.94383 -3.17787 -0.25960 -0.2 0.2 -0.2
H -1.76455 -4.07025 -0.83693 0.0 -0.1 -0.1
C -3.40692 -2.15740 -2.09378 0.0 0.1 0.0
H -4.48573 -2.24423 -1.96629 -0.1 0.0 0.0
H -3.21926 -1.19344 -2.56724 0.0 0.0 -0.1
H -3.05102 -2.96579 -2.72510 0.0 -0.1 0.0
S -3.88583 2.39862 0.87642 -0.3 0.4 0.0
C -3.54436 2.79152 -0.88187 -0.3 -0.2 0.2
H -4.42209 2.54742 -1.47975 0.2 0.1 -0.1
H -3.36414 3.86635 -0.91045 0.0 0.1 0.0
C -2.34044 2.03074 -1.43561 -0.2 0.1 -0.4
O -2.43836 1.47191 -2.51280 0.0 0.2 0.0
C -1.16377 2.00103 -0.59607 0.8 -0.3 0.1
C -0.17422 1.02127 -0.62153 -0.6 0.1 -0.4
N 0.65655 1.23773 0.42675 -0.2 0.1 -0.1
C 0.25423 2.36361 1.11118 -0.2 0.5 0.2
C -0.86469 2.84959 0.50874 0.3 -0.1 -0.1
H -1.40875 3.72203 0.80793 0.0 0.1 0.2
C 0.95516 2.85983 2.32503 0.0 -0.2 -0.1
H 0.86623 2.14276 3.14199 0.0 0.0 0.1
H 2.01347 3.03925 2.13596 0.1 0.1 0.1
H 0.49451 3.79089 2.64197 0.0 0.1 0.0
C 1.79230 0.43481 0.78340 0.6 0.1 -0.2
H 1.91279 0.47188 1.86843 0.0 -0.1 -0.1
H 1.60826 -0.60061 0.48705 0.0 0.0 0.1
C 3.09490 0.92051 0.11437 -0.2 0.1 0.5
H 3.09734 2.01852 0.10954 0.0 -0.1 0.1
C 4.34464 0.35733 0.81579 -0.1 0.0 -0.2
H 4.79518 1.08272 1.48879 0.0 0.0 0.1
H 4.07795 -0.53298 1.38763 0.0 0.0 0.1
C 5.25527 -0.02140 -0.35049 -0.2 0.0 -0.1
H 5.93927 -0.83228 -0.11354 0.1 0.0 0.0
C 4.22550 -0.40860 -1.40832 0.3 -0.2 0.0
H 4.58672 -0.31691 -2.43342 0.0 -0.1 0.1
O 3.16169 0.50681 -1.24456 -0.2 0.2 -0.1
H 3.87219 -1.43807 -1.24415 0.1 0.0 0.0
H 5.82601 0.84431 -0.68669 0.0 0.0 0.0
C 0.00714 -0.10619 -1.56913 0.0 -0.1 0.0
H -0.03824 -1.06960 -1.05554 0.0 -0.1 0.0
H 0.97854 -0.02379 -2.05536 0.0 -0.1 0.0
H -0.77210 -0.06341 -2.32423 0.0 0.0 0.0
H -0.05021 -3.77833 2.50784 0.0 0.0 0.0
H -1.05483 -5.00899 1.72293 0.0 -0.1 0.0
H 0.32983 -4.34114 0.86387 0.1 -0.1 0.0
```
Forces are in eV/Å.
-- stop --
-- Back to the article --
Competition for both available jobs and recruitment agencies are stiff and as a result prospective employees and those seeking to advance their career, whether via promotion or job change, have to be in a position to interpret what is on offer – how it suits their desires and interest, and which Agency is suitable for them, that is, that meet their specific needs.
Because jobs and careers seekers today have an extremely wide choice in terms of platforms, they can drill down into the areas, the organisations and influential individuals in those organisations of their choice.
In addition, they can also segment their career choice via social medial. Another great benefit to job and career seekers.
They can go to any site, or, site listings to discover what suits them best. You will often discover a numerical listing. For example, LinkedIn is the No. 1 spot for job seekers and those currently employed, or, looking to advance their careers. There are others such as, Twitter with Blog or LinkedIn URL, Jobster, Facebook, Craiglist, MyWorkster with Indeed Recruitment agency, and VisualCV and this is not an exhaustive list.
So how can you use social media to advance your career?Let’s take the number one social media platform for jobs and careers. LinkedIn is a wealth of information for career development firstly because of its search engine. This can be used to research the types of organisations you want to join. It will also provide the details of the people within those organisations you may want to target for your career choice. It will also provide you with the locations of organisations world-wide. It will tell you how many employees those organisations employ and their positions. You can also search those organisations for the role you are seeking and get a description of those roles, first-hand.
You can set up your profile, listing all your skills, experience, qualifications, your talents, and your achievements in some detail, on LinkedIn.
All of this gives you a head start in your search and provide you with vital information on how you can proceed to making enquiries. Here you can submit a separate Curriculum Vitae (CV) or you can make your profile available to prospective organisations.
You can also set up a jobs alert facility. The downside here that it is not always precisely what you are looking for, but it can nevertheless be valuable in creating awareness of what is the jobs market and in your chosen field or expertise.
A great advantage in using social media for career advancement is that you can use your social connections or social networking to help your profile or CV to move up the career stack. Linked is known for facilitating ‘influencers’. These could be people in your social circle, people who are ‘in the know’, or, people you know who know those people. This can be a useful way to boost your career.
A useful facility on LinkedIn is the ability to ask for recommendations or testimonials from people you have worked with, or organisations you’ve worked for in the past.
All the above helps to you to build a strong profile from which prospective employers can glean information about you that are relevant to their searches.
Here the piece breaks off for calculated molecules:
+++
1.
127
Properties=species:S:1:pos:R:3 method="wB97M-V/def2-TZVPD" e_homo_ev=-2.837 gap_ha=0.2223 e_lumo_ev=3.21 total_charge=-2 total_energy_ha=-7783.60054
Cs 0.600 1.424 0.093
C 0.251 -4.089 0.514
C 0.402 -4.470 -0.952
S 0.008 -3.074 -2.083
C 1.470 -3.073 -3.178
C 2.813 -2.825 -2.513
S 2.822 -1.254 -1.563
C 3.493 -1.741 0.056
C 2.788 -2.881 0.764
S 1.013 -2.515 1.037
H -0.800 -3.928 0.750
H 0.645 -4.891 1.146
H 1.413 -4.797 -1.184
H -0.279 -5.294 -1.180
H 1.488 -4.018 -3.729
H 1.251 -2.260 -3.875
H 3.093 -3.632 -1.840
H 3.577 -2.747 -3.289
H 4.551 -1.981 -0.071
H 3.400 -0.821 0.635
H 2.857 -3.815 0.207
H 3.251 -3.036 1.742
C -0.705 -2.017 -7.855
C -0.227 -0.722 -7.751
C -0.167 -0.099 -6.517
C -0.591 -0.748 -5.365
C -1.052 -2.056 -5.486
C -1.113 -2.688 -6.713
As -0.648 0.070 -3.527
C -0.352 1.875 -4.144
C 0.862 2.521 -4.292
C 0.900 3.838 -4.722
C -0.280 4.509 -4.999
C -1.500 3.875 -4.844
C -1.546 2.553 -4.424
C -2.754 1.764 -4.211
C -4.056 2.208 -4.405
C -5.120 1.363 -4.147
C -4.896 0.071 -3.702
C -3.600 -0.384 -3.517
C -2.530 0.451 -3.773
H -0.763 -2.501 -8.821
H 0.105 -0.199 -8.638
H 0.205 0.917 -6.449
H -1.373 -2.573 -4.586
H -1.472 -3.707 -6.785
H 1.784 1.991 -4.070
H 1.847 4.350 -4.836
H -0.252 5.540 -5.332
H -2.415 4.416 -5.044
H -4.244 3.222 -4.735
H -6.133 1.720 -4.287
H -5.737 -0.571 -3.476
H -3.421 -1.388 -3.153
O -1.826 3.382 -1.455
C -2.050 2.185 -1.245
O -1.198 1.258 -1.363
C -3.432 1.759 -0.814
C -3.624 0.491 -0.284
C -4.888 0.066 0.073
C -5.973 0.905 -0.122
C -5.790 2.173 -0.649
C -4.518 2.604 -0.981
H -2.769 -0.154 -0.157
H -5.027 -0.916 0.503
H -6.968 0.567 0.135
H -6.648 2.817 -0.804
H -4.345 3.593 -1.381
C -1.197 5.609 0.712
C -2.131 4.839 1.634
P -1.391 3.210 2.118
C -2.854 2.434 2.965
C -3.904 3.299 3.659
C -0.254 3.669 3.529
C -0.628 4.725 4.562
H -1.604 6.595 0.480
H -1.083 5.047 -0.212
H -0.215 5.735 1.167
H -3.046 4.589 1.091
H -2.382 5.420 2.528
H -2.440 1.700 3.664
H -3.350 1.861 2.173
H -3.491 3.893 4.473
H -4.668 2.646 4.081
H -4.391 3.970 2.952
H 0.694 3.953 3.059
H -0.095 2.713 4.035
H -0.660 5.721 4.123
H 0.127 4.727 5.349
H -1.589 4.507 5.018
F 6.601 3.361 4.596
C 5.635 2.824 3.805
C 4.435 2.372 4.339
F 4.234 2.447 5.675
C 3.468 1.830 3.525
F 2.336 1.361 4.104
C 3.597 1.701 2.107
O 2.717 1.218 1.360
C 4.858 2.175 1.627
F 5.101 2.072 0.292
C 5.835 2.704 2.435
F 7.018 3.112 1.911
S -4.874 -1.330 5.712
P -3.011 -1.201 5.067
S -2.612 -1.357 3.146
C -2.014 -2.428 6.023
C -2.267 -2.530 7.384
C -1.588 -3.453 8.153
C -0.650 -4.284 7.561
C -0.390 -4.178 6.204
C -1.073 -3.254 5.431
C -2.231 0.307 5.800
C -0.856 0.492 5.717
C -0.273 1.590 6.323
C -1.062 2.516 6.990
C -2.435 2.350 7.043
C -3.017 1.244 6.452
H -3.018 -1.882 7.817
H -1.797 -3.532 9.213
H -0.123 -5.016 8.162
H 0.347 -4.826 5.747
H -0.885 -3.156 4.369
H -0.250 -0.218 5.168
H 0.797 1.727 6.271
H -0.603 3.372 7.466
H -3.054 3.080 7.549
H -4.086 1.081 6.495

2.
123
+++
It is important then that you ensure you are also relevant and that your information is current.
The most important thing to remember is that by applying these actions you are on your way to building a strong brand of ‘You’ so that you can achieve your career success. Your approach to this is pivotal. The purpose of the exercise is to attract the best recruiting manager to you, in an informed way. The saying …’your network is your net worth’ rings true in building your successful career in the same way it applies to building a successful business.
Grow your social network, fully engage with them, and utilise their expertise and their wealth of experience. This will pay dividend. MashableUK, a multi- disciplinary site in social media, reports that 80% of jobs are not advertised, they are often found through network of connections.
Using social media to advance your career, like anything else, takes work so this requires so patience and persistence and will be very much worthwhile.
It is a great way to build your resilience for your new and upwardly mobile career.